Hidden Surface Removal COM337 Computer Graphics Hidden Surface Removal
Hidden-Surface Removal In real world, we naturally cannot see things that are behind other opaque objects In CG, this has to be done explicitly all primitives go through the pipeline unless they are specifically eliminated Hidden surfaces should be removed or equally, visible surfaces should be detected (also called visible-surface detection) We will look at several techniques for this
Categories of Approaches Object-space algorithms Attempt to order the surfaces such that painting them in a particular order (back-to-front) produces the correct output Doesn’t work well with the pipeline because objects will go through the pipeline in an arbitrary order and we need to have all surfaces available to sort them Image-space algorithms Works as part of the projection process Determine for each pixel the affecting object(s)
A cluster of 3 separate species, C25H49NO5Si in total. Source: OMol25; level of theory: ωB97M-V/def2-TZVPD.

Summary:
Largest force on an atom: 1.28 eV Å⁻¹
Structure (SMILES): CCCCCC[Si@](CCCCOC(C)=O)(N=C=O)[C@@H](C)CC.C1CCOC1.C1CCOC1
Molar mass: 471.755 g/mol
Charge: 0
Electronic energy: -1702.4534 Eh

CARTESIAN COORDINATES (ANGSTROEM)
C: 5.9138 -2.1619 1.0554
C: 4.4970 -1.7696 0.6065
C: 3.9583 -2.6193 -0.5527
C: 2.9332 -1.8692 -1.4334
C: 1.5721 -2.5637 -1.4892
C: 0.8083 -2.4813 -0.1530
Si: -0.4158 -1.0612 0.0533
C: -0.8517 -0.1166 -1.5120
C: -0.4858 1.3874 -1.5204
C: 0.9826 1.6463 -1.8309
C: 1.5343 2.9368 -1.2250
O: 1.1557 3.1396 0.1369
C: 2.1114 2.9953 1.0842
C: 3.2518 2.0360 0.8607
O: 2.0213 3.6157 2.1098
N: 0.3344 0.1331 1.1598
C: 0.7905 -0.2942 2.1908
O: 1.2149 -0.6782 3.1947
C: -1.9609 -1.7219 0.9073
C: -2.5155 -0.6759 1.9170
C: -3.1016 -2.1126 -0.0600
C: -2.6754 -2.8739 -1.3260
H: 6.4808 -2.5397 0.2069
H: 6.4526 -1.2869 1.4198
H: 5.9085 -2.8791 1.8730
H: 4.5401 -0.7253 0.2944
H: 3.8208 -1.8083 1.4630
H: 4.8221 -2.8484 -1.1771
H: 3.5529 -3.5602 -0.1825
H: 2.8417 -0.8479 -1.0623
H: 3.3081 -1.8202 -2.4563
H: 0.9992 -2.2087 -2.3453
H: 1.7795 -3.6182 -1.6900
H: 0.2490 -3.4091 -0.0164
H: 1.5563 -2.4871 0.6443
H: -1.9413 -0.1548 -1.5757
H: -0.4833 -0.5875 -2.4233
H: -1.1171 1.8583 -2.2760
H: -0.7743 1.8196 -0.5644
H: 1.1668 1.6811 -2.9046
H: 1.5686 0.8057 -1.4471
H: 1.0965 3.7586 -1.7866
H: 2.6118 2.9803 -1.3744
H: 4.1779 2.5881 0.7127
H: 3.0993 1.3607 0.0256
H: 3.3579 1.4509 1.7699
H: -1.7337 -2.6114 1.4996
H: -2.3746 0.3180 1.4877
H: -3.5892 -0.8122 2.0306
H: -2.0203 -0.7548 2.8798
H: -3.7650 -2.7616 0.5095
H: -3.6863 -1.2214 -0.2915
H: -2.6239 -2.2170 -2.1915
H: -1.7410 -3.4166 -1.1979
H: -3.4383 -3.6120 -1.5770
C: -3.6630 -4.0331 5.1740
C: -3.6098 -5.2477 4.2511
C: -4.1852 -4.6787 2.9624
O: -3.8243 -3.2946 2.9318
C: -3.3212 -2.9018 4.2149
H: -2.9753 -4.0920 6.0158
H: -4.6737 -3.9031 5.5670
H: -2.5733 -5.5567 4.0984
H: -4.1695 -6.1057 4.6196
H: -5.2778 -4.7539 2.9488
H: -3.7941 -5.1682 2.0688
H: -2.2365 -2.7670 4.1370
H: -3.7675 -1.9502 4.5029
C: -1.4636 7.3541 -3.7791
C: -0.2019 7.7206 -3.0012
C: 0.3950 6.3489 -2.7192
O: 0.0161 5.5124 -3.8172
C: -0.9841 6.1655 -4.6011
H: -1.8506 8.1637 -4.3956
H: -2.2513 7.0435 -3.0893
H: 0.4721 8.3033 -3.6330
H: -0.3948 8.2900 -2.0937
H: -0.0131 5.9150 -1.8000
H: 1.4829 6.3648 -2.6417
H: -0.5309 6.4925 -5.5434
H: -1.7797 5.4554 -4.8288

----------

No. 1
The following is a DFT calculation (ωB97M-V/def2-TZVPD) of a molecular structure, C36H45FeN5OP2S2.

```
! RIJCOSX wB97M-V def2-TZVPD def2/J DEFGRID3
* xyz 1 6
H -1.90497 4.76602 4.19940
C -1.70156 -4.44675 2.19705
N -2.19495 3.75488 0.69959
H -2.05518 1.16142 3.58316
C -1.68283 -2.44323 0.86334
C -1.70166 2.98502 1.71001
C 4.48841 -3.56679 -0.39392
H 0.77117 -0.01581 -2.48878
H -2.73087 2.28210 4.76529
H 1.31151 -2.50606 -2.03442
H 0.04633 -3.79948 5.78179
C -3.62546 3.95273 0.53415
C -0.80399 -4.23574 -4.03372
C 0.42921 2.23196 -5.00438
gl.enable(gl.CULL_FACE) Culling Faces that we see from behind (whose normals point away from the viewer) will not be visible and can be eliminated easily This elimination is called culling and it can be enabled in WebGL with gl.enable(gl.CULL_FACE)
Culling We can select which faces to cull using the call gl.cullFace(face) where face is either gl.BACK or gl.FRONT (default is to cull back faces) Culling will produce a correct image if you have a single, convex object. It cannot handle visibility when an object occludes another object For this, we need to enable z-buffer or implement one of the other solutions
Z-Buffer An image-space algorithm For each pixel, we want to draw the closest object projecting to that pixel But, the objects are processes in arbitrary order So, for each pixel, we keep the distance of the currently drawn object This information for all pixels is called depth buffer or z-buffer This is what we enabled with gl.enable(gl.DEPTH_TEST) in the code examples
Z-Buffer Initialize the z-buffer with a max value corresponding to the far plane For each fragment, compare its depth (distance from view plane) with the current value in z-buffer If greater, it means we are already showing a closer surface, so, ignore. Otherwise, this new fragment is closer, so, use it to set the color in color buffer and update the value in z-buffer
Z-Buffer Advantages: Disadvantages: Simple A z-buffer is part of what makes a graphics card “3D” Computing the required depth values is simple Disadvantages: Over-renders - worthless for very large collections of polygons Depth quantization errors can be annoying Can’t easily do transparency or filtering for anti-aliasing (Requires keeping information about partially covered polygons)
A-Buffer Method An extension of the z-buffer idea developed at LucasFilm Studios An antialiasing, area averaging, visibility-detection method Accumulation-buffer stores a variety of surface data in addition to depth values allows a pixel color to be computed as a combination of different surface colors for transparency and anti-aliasing effects
The A-buffer (Image Precision) Handles transparent surfaces and a form of anti-aliasing At each pixel, maintain a list of polygons sorted by depth, and a sub-pixel coverage mask for each polygon Sub-pixel mask: Matrix of bits saying which parts of the pixel are covered by the polygon Algorithm: When drawing a pixel (first pass): if polygon is opaque and covers pixel, insert into list, removing all polygons farther away if polygon is transparent or only partially covers pixel, insert into list, but don’t remove farther polygons
A-Buffer Method Each position in the A-buffer has two fields Depth field: stores surface data or a pointer Surface data field: stores surface data or a pointer
A-Buffer Surface information in the A-buffer includes RGB intensity Opacity parameter (% of transparency) Depth Percent of area coverage Surface identifier other surface rendering parameters
The A-buffer Algorithm: Rendering pass Advantage: Disadvantages: At each pixel, traverse buffer using polygon colors and coverage masks to calculate composite pixel color Advantage: Can do more than Z-buffer Anti-aliasing, transparent surfaces without ordering Coverage mask idea can be used in other visibility algorithms Disadvantages: Not in hardware, and slow in software Still at heart a z-buffer: Over-rendering and depth quantization problems
Scan Line Algorithm (Image Precision) Assume polygons do not intersect one another Except maybe at edges or vertices Observation: across any given scan line, the visible polygon can change only at an edge Algorithm: fill all polygons simultaneously at each scan line, use edge information from polygon tables to find crossing points keep record of current depth at current pixel - use to decide which is in front in filling span
Scan Line Algorithm (2) zs zs xs Spans xs zs xs Where polygons overlap, draw front polygon xs
Scan Line Algorithm (3) Advantages: Disadvantages: Simple Potentially fewer quantization errors (more bits available for depth) Don’t over-render (each pixel only drawn once) Filter anti-aliasing can be made to work (have information about all polygons at each pixel) Disadvantages: Invisible polygons complicate matters Non-intersection criteria may be hard to meet
Scan Line Algorithm
Scan Line Algorithm Procedure only works correctly if surfaces do not cut through or cyclically overlap each other. In such cases we could divide the surfaces to eliminate overlaps:
/*
Computed, not measured: a 18-piece molecular cluster, C66H132O30 overall at a distorted geometry, with ωB97M-V/def2-TZVPD.

Properties
Total energy (eV): -132008.539
Gap between HOMO and LUMO (eV): 9.119
LUMO level (eV): 0.114

Bonds (Å) are listed after each position.
CARTESIAN COORDINATES (ANGSTROEM)
1 H -0.10034 -3.87023 -1.85668  C65 1.090
2 C -5.72099 0.46914 -3.73768  C155 1.532, H185 1.090, H186 1.090, O203 1.406
3 O -1.83914 -3.54407 -0.50739  C76 1.450, C81 1.322
4 H -1.84558 1.64182 -1.41022  C96 1.090
5 C -2.34963 -3.23206 -4.37246  C116 1.521, O136 1.235, O153 1.371
6 C -5.29290 -3.84362 -3.79056  H28 1.090, C70 1.576, H133 1.090, H149 1.090
7 C -4.78649 2.76618 -0.72564  H41 1.090, C90 1.543, O99 1.418, H132 1.090
8 O 0.96106 -2.16607 -0.46124  C161 1.210
9 O -0.43736 3.91332 -5.38118  C31 1.347, C60 1.413
10 H 3.52432 -0.63286 4.88787  C210 1.090
11 C 2.23122 4.28593 -2.88342  H29 1.090, H68 1.090, C122 1.470, H208 1.090
12 H -1.68363 7.10650 4.68936  C140 1.090
13 H 3.49638 -5.10187 0.81204  C20 1.090
14 H -3.32843 -0.38638 4.44486  C30 1.090
15 H 3.88118 1.52855 -1.44979  C130 1.090
16 H 4.02768 -1.35068 3.36290  C210 1.090
17 H 5.47287 -3.21290 7.71206  C197 1.090
18 H -5.14191 -1.33589 -0.32070  C167 1.090
19 C 0.96100 3.24760 1.35345  H55 1.090, C56 1.545, H95 1.090, H135 1.090
20 C 2.43833 -5.06236 0.55306  H13 1.090, C33 1.544, H94 1.090, H207 1.090
21 H -0.82384 3.80091 0.16525  C56 1.090
22 H 3.19235 4.13898 5.67749  C110 1.090
23 H -1.26684 -2.98355 1.95260  C138 1.090
24 C -10.67258 0.08507 0.79712  H97 1.090, H102 1.090, H112 1.090, C193 1.504
25 H -2.84307 0.41559 -2.22708  C96 1.090
26 H -2.90480 5.29213 -3.57807  C192 1.090
27 O 4.66223 -6.77779 -4.55601  C223 1.223
28 H -5.11863 -4.88219 -4.07180  C6 1.090
29 H 3.27351 4.39916 -2.58525  C11 1.090
30 C -3.70586 0.61697 4.24750  H14 1.090, H71 1.090, C120 1.516, H143 1.090
31 C 0.42089 4.83765 -5.85486  O9 1.347, O172 1.248, C213 1.503
32 C 0.54546 0.49823 5.73351  C48 1.528, O69 1.221, C222 1.554
33 C 1.67328 -4.84827 1.87692  C20 1.544, O57 1.263, O127 1.375
34 H -6.56196 0.48771 0.95921  C108 1.090
35 H 3.97967 -6.22616 -2.08458  C176 1.090
36 H -7.63843 1.22626 -2.90143  C155 1.090
37 H 4.08796 -2.49516 8.50231  C197 1.090
38 H -6.91051 3.22999 0.03137  C90 1.090
39 C 5.07023 5.76532 -0.18949  H50 1.090, C88 1.569, H147 1.090, H200 1.090
40 H -3.06334 -2.19859 0.34662  C76 1.090
41 H -4.84713 1.67947 -0.78458  C7 1.090
42 C -0.33601 1.84111 -6.68518  H47 1.090, C60 1.521, H118 1.090, H195 1.090
43 H -1.26659 -1.43305 -1.61697  C77 1.090
44 C -2.24454 1.01936 2.15343  C120 1.481, H125 1.090, H166 1.090, H194 1.090
45 H -6.86028 0.42251 -0.64888  C108 1.090
46 C 5.81861 -3.11306 0.32641  C91 1.503, O162 1.232, C211 1.510
47 H -0.40553 0.75499 -6.62525  C42 1.090
48 C 0.08907 1.69738 6.56398  C32 1.528, H92 1.090, H126 1.090, H164 1.090
49 H 4.80479 -4.68923 -2.38564  C176 1.090
50 H 4.22818 5.73411 0.50194  C39 1.090
51 O 6.95367 1.97183 -0.80221  C205 1.204
*/
Depth Sorting The 'painter's algorithm' Sort polygons on depth of some point Render from back to front (modifying order on the fly) Uses both image-space and object-space operations Surfaces are sorted in order of decreasing depth Surfaces are scan-converted in order, starting with the surface of greatest depth Sorting carried out in image and object space, scan conversion done in image space
Testing for overlaps: Start drawing when first condition is met: x-extents or y-extents do not overlap S is behind the plane of S’ S’ is in front of the plane of S S and S’ do not intersect in the image plane S S’ S or S’ z S S’ x S z S’ x S S’
Testing for overlaps: Start drawing when first condition is met: (1) if the extents do not overlap the test succeeds and we can proceed
Testing for overlaps: Start drawing when first condition is met: (2)
Testing for overlaps: Start drawing when first condition is met: (3)
Testing for overlaps: Start drawing when first condition is met: (4)
Testing for overlaps: Start drawing when first condition is met: (5)
Depth sorting Advantages: Disadvantages: Filter anti-aliasing works fine Composite in back to front order with a sequence of over operations No depth quantization error Depth comparisons carried out in high-precision view space Disadvantages: Over-rendering Potentially very large number of splits - (n2) fragments from n polygons
Ray casting. Sometimes referred to as Ray-tracing. Involves projecting an imaginary ray from the centre of projection (the viewers eye) through the centre of each pixel into the scene. Scene Window Eyepoint
Computing ray-object intersections. The heart of ray tracing. e.g sphere ( the easiest ). Expand, substitute for x,y & z. Gather terms in t. Quadratic equation in t. Solve for t. No roots – ray doesn’t intersect. 1 root – ray grazes surface. 2 roots – ray intersects sphere, (entry and exit) Very important.
Ray-polygon intersection. Easier 1) Determine whether ray intersects polygon’s plane. 2) Determine whether intersection lies within polygon. Easiest to determine with an orthographic projection onto the nearest axis and the 2D point-in-polygon test. z Ray x y
Ray casting. Easy to implement for a variety of primitives – only need a ray-object intersection function. Pixel adopts color of nearest intersection. Can draw curves and surfaces exactly – not just triangles Can generate new rays inside the scene to correctly handle visibility with reflections, refraction, etc – recursive ray-tracing. Can be extended to handle global illumination. Can perform area-sampling using ray super-sampling. But… too expensive for real-time applications.
Examples of Ray-traced images.
Use of BSPs in VSD BSP trees will split up objects so that the painter's algorithm will draw them correctly without the need for a Z-buffer and eliminate the need to sort the objects : a simple tree traversal will yield the objects in the correct order. It also serves as base for other algorithms, such as visibility lists, which seek to reduce overdraw. However, building the tree for scene pre-processing is time consuming, which makes it difficult and inefficient to directly implement moving objects into a BSP tree. This is often overcome by using the BSP tree together with a Z-buffer (using the Z-buffer to correctly merge movable objects onto the background scene).
BSP Tree. A lot of computation required at start. Try to split polygons along good dividing plane Splitting intersected polygon may be costly Inexpensive to check visibility once tree is set up. Can be used to generate correct visibility for arbitrary views. Efficient when objects don’t change very often in the scene.
BSP-Tree Example A A C 4 3 - + B C - B + - + 1 3 2 4 1 2 View of scene from above
Building BSP-Trees Choose polygon (arbitrary) Split its cell using plane on which polygon lies May have to chop polygons in two (Clipping!) Continue until each cell contains only one polygon fragment Splitting planes could be chosen in other ways, but there is no efficient optimal algorithm for building BSP trees Optimal means minimum number of polygon fragments in a balanced tree
BSP (Binary Space Partitioning) Tree. One of “list-priority” class algorithms – returns ordered list of polygon fragments for specified view point (static pre-processing stage). Choose polygon arbitrarily Divide scene into front (relative to normal) and back half-spaces. Split any polygon lying on both sides. Choose a polygon from each side – split scene again. Recursively divide each side until each node contains only 1 polygon. 5 2 3 1 4 View of scene from above
BSP Tree. Choose polygon arbitrarily 3 4 1 2 5 5a 5b back front Choose polygon arbitrarily Divide scene into front (relative to normal) and back half-spaces. Split any polygon lying on both sides. Choose a polygon from each side – split scene again. Recursively divide each side until each node contains only 1 polygon.
BSP Tree. Choose polygon arbitrarily 5 5a 2 5b Choose polygon arbitrarily Divide scene into front (relative to normal) and back half-spaces. Split any polygon lying on both sides. Choose a polygon from each side – split scene again. Recursively divide each side until each node contains only 1 polygon. 3 1 4 3 front back 2 4 5b front 5a 1
BSP Tree. Choose polygon arbitrarily 3 4 1 2 5 5a 5b Choose polygon arbitrarily Divide scene into front (relative to normal) and back half-spaces. Split any polygon lying on both sides. Choose a polygon from each side – split scene again. Recursively divide each side until each node contains only 1 polygon. 3 back front 2 1 5a 5b 4
Alternate formulation starting at 5 BSP Tree. 5 2 Choose polygon arbitrarily Divide scene into front (relative to normal) and back half-spaces. Split any polygon lying on both sides. Choose a polygon from each side – split scene again. Recursively divide each side until each node contains only 1 polygon. 3 1 4 5 back 4 back Alternate formulation starting at 5 3 front 1 back 2
Building a BSP recursive algorithm: BSPtree *BSPmaketree(polygon list) { choose a polygon as the tree root for all other polygons { if polygon is in front, add to front list if polygon is behind, add to behind list else split polygon and add one part to each list } BSPtree = BSPcombinetree(BSPmaketree(front list), root, BSPmaketree(behind list) )
Someone pasted molecular data at this point.
~~~
(1)
{"formula": "C19H21N3O4S", "method": "wB97M-V/def2-TZVPD", "e_above_lowest_kcal_mol": 61.6, "e_lumo_ha": 0.00269, "e_homo_ev": -8.5, "smiles": "COCCNS(=O)(=O)c1cc(-c2nn(C)c(=O)c3ccccc23)ccc1C", "symbols": ["C", "O", "C", "C", "N", "S", "O", "O", "C", "C", "C", "C", "N", "N", "C", "C", "O", "C", "C", "C", "C", "C", "C", "C", "C", "C", "C", "H", "H", "H", "H", "H", "H", "H", "H", "H", "H", "H", "H", "H", "H", "H", "H", "H", "H", "H", "H", "H"], "positions_angstrom": [[4.672, -5.386, 1.040], [3.575, -5.718, 0.220], [2.520, -4.789, 0.253], [2.815, -3.511, -0.548], [1.624, -2.670, -0.578], [1.515, -1.630, 0.760], [1.659, -2.419, 1.947], [2.430, -0.536, 0.579], [-0.157, -1.023, 0.585], [-0.308, 0.333, 0.377], [-1.580, 0.878, 0.226], [-1.779, 2.320, 0.020], [-2.719, 2.860, 0.729], [-2.961, 4.160, 0.668], [-4.029, 4.641, 1.516], [-2.258, 5.077, -0.092], [-2.531, 6.262, -0.036], [-1.224, 4.482, -0.940], [-0.496, 5.300, -1.805], [0.443, 4.751, -2.647], [0.648, 3.372, -2.652], [-0.058, 2.551, -1.802], [-0.990, 3.094, -0.908], [-2.680, 0.027, 0.324], [-2.510, -1.328, 0.538], [-1.242, -1.888, 0.665], [-1.046, -3.349, 0.881], [5.309, -6.268, 1.065], [4.343, -5.141, 2.055], [5.244, -4.542, 0.640], [2.271, -4.512, 1.284], [1.666, -5.299, -0.200], [3.088, -3.787, -1.569], [3.650, -2.965, -0.093], [1.616, -2.078, -1.398], [0.579, 0.946, 0.371], [-4.846, 5.026, 0.904], [-3.659, 5.454, 2.141], [-4.372, 3.811, 2.127], [-0.701, 6.360, -1.793], [1.011, 5.381, -3.314], [1.367, 2.942, -3.334], [0.093, 1.483, -1.831], [-3.670, 0.445, 0.231], [-3.377, -1.968, 0.609], [-0.595, -3.796, -0.004], [-1.992, -3.841, 1.089], [-0.357, -3.510, 1.707]], "lowdin_charge": [-0.106, -0.184, -0.229, -0.210, -0.128, 0.677, -0.284, -0.291, -0.220, -0.014, -0.153, -0.173, 0.157, -0.101, -0.010, -0.384, 0.071, -0.060, 0.000, -0.060, -0.059, -0.015, -0.083, 0.001, -0.015, -0.240, -0.043, 0.089, 0.094, 0.084, 0.105, 0.127, 0.132, 0.112, 0.108, 0.118, 0.094, 0.092, 0.088, 0.121, 0.107, 0.108, 0.109, 0.116, 0.115, 0.078, 0.084, 0.074]}

=====

(2)
~~~
Building Example 5 We will build a BSP tree, in 2D, for a 3 room building Ignoring doors Splitting edge order is shown “Back” side of edge is side with the number 2 3 4 1 6
Building Example (1) 5 1 - + 3a, 4a, 6 2, 3b, 4b, 5 3b 2 4b 1 4a 3a 6
Building Example (2) 5b 5a 1 - + 2 - + 3b 2 4b 4b, 5a 3b, 5b 1 4a 3a 6
Building Example (3) 5b 5a 3b 2 4b 1 4a 3a 6 1 - + 2 3a - + + 4a, 6
Building Example (Done) 1 - + 2 3a - + + 3b 2 4b 4a 4b 3b + + + 6 5a 5b 1 4a 3a 6
Displaying a BSP tree. Once we have the regions – need priority list BSP tree can be traversed to yield a correct priority list for an arbitrary viewpoint. Start at root polygon. If viewer is in front half-space, draw polygons behind root first, then the root polygon, then polygons in front. If polygon is on edge – either can be used. Recursively descend the tree. If eye is in rear half-space for a polygon – then we can back face cull.
Drawing with a BSP DrawTree(BSPtree) { if (eye is in front of root) { DrawTree(BSPtree->behind) DrawPoly(BSPtree->root) DrawPoly(BSPtree->front) } else { DrawTree(BSPtree->front) }
Drawing with a BSP Suppose eye is positioned here 3 4 1 2 5 5a 5b 3 back front 2 1 5a 5b 4 Suppose eye is positioned here Determine object order - from back to front Eye is in front of root (3) so draw all behind (3) then (3) then all in front of (3) When drawing in front of (3) we see that eye is behind the subtree root (2) So we draw all in front of (2), then (2), then behind (2) .... drawing order is 4, 5b, 3, 5a, 2, 1 This way the later objects can be drawn over the earlier objects with correct results
Area Subdivision Successively divide the view plane into smaller rectangles until each rectangle contains the projection of part of a single visible surface, or contains no surface projections, or rectangle has reduced to single pixel size
Warnock’s Algorithm Elegant hybrid of object-space and image-space. Uses standard graphics solution:- if situation too complex then subdivide problem. Start with root window (e.g. entire screen): If this is "simple enough" then scan convert window Else subdivide window as quadtree Recurse until zero or one polygon, or some set depth Depth may be pixel resolution, display nearest polygon
Is an area "simple enough" Given an area of interest, classify polygons as Surrounding (completely containing the area) Intersecting (intersecting the area) Contained (completely inside the area) Disjoint (completely outside the area) Disjoint polygons can be eliminated Intersecting polygons can be split into disjoint and contained polygons If there is only one contained polygon, fill area with backround, then scan- fill polygon area IF there is a single surrounding polygon, and no intersecting or contained polygons, display the surrounding polygons color There is a surrounding polygon in front of all other polygons, display the surrounding polygons's color in the area
Warnock’s example
Example : Quake game engine. Calculates visibility separately for environment and objects. Environment Use portals to determine potentially visible set Use BSP-tree to order polygons front-back. Scan-convert polygons maintaining order. Maintain colour and z buffers. Objects. Use Z-buffer from environment stage.